Request:
What is needed: filter the contents further below: keep the lines with the word "database".

Listing:
____________
(1)
LiDy2Rh | PBE | optimized geometry

Lattice parameters (Å, degrees): 4.9317 4.9317 4.9317 60.00 60.00 60.00
Atoms (fractional coordinates):
Li 0.0000 0.0000 0.0000
Dy 0.2500 0.2500 0.2500
Dy 0.7500 0.7500 0.7500
Rh 0.5000 0.5000 0.5000

Properties
SG	Fm-3m
energy relative to the elements	-11.136	kcal/mol of atoms
E	-5.105	eV per atom

(2)
Li3DySb2 | PBE | optimized geometry

Lattice parameters (Å, degrees): 4.5471 4.5471 7.1692 90.00 90.00 120.00
Atoms (fractional coordinates):
Li 0.0000 0.0000 0.0000
Li 0.3333 0.6667 0.1471
Li 0.6667 0.3333 0.8529
Dy 0.0000 0.0000 0.5000
Sb 0.3333 0.6667 0.7472
Sb 0.6667 0.3333 0.2528

Properties
SG	P-3m1
energy relative to the elements	-20.272	kcal/mol of atoms
E	-3.914	eV per atom
corrected total energy (MP2020 scheme)	-23.9	eV per formula unit

(3)
LiDySn | PBE | optimized geometry

Lattice parameters (Å, degrees): 9.3696 9.3696 7.3333 90.00 90.00 120.00
Atoms (fractional coordinates):
Li 0.1661 0.3322 0.0000
Li 0.1661 0.8339 0.0000
Li 0.3322 0.1661 0.5000
Li 0.3333 0.6667 0.3725
Li 0.6667 0.3333 0.8725
Li 0.6678 0.8339 0.0000
Li 0.8339 0.1661 0.5000
Li 0.8339 0.6678 0.5000
Dy 0.0000 0.0000 0.2140
Dy 0.0000 0.0000 0.7140
Dy 0.0269 0.5134 0.7062
Dy 0.4866 0.5134 0.7062
Dy 0.4866 0.9731 0.7062
Dy 0.5134 0.0269 0.2062
Dy 0.5134 0.4866 0.2062
Dy 0.9731 0.4866 0.2062
Sn 0.1673 0.3347 0.4413
Sn 0.1673 0.8327 0.4413
Sn 0.3333 0.6667 0.9761
Sn 0.3347 0.1673 0.9413
Sn 0.6653 0.8327 0.4413
Sn 0.6667 0.3333 0.4761
Sn 0.8327 0.1673 0.9413
Sn 0.8327 0.6653 0.9413

Properties
SG	P6_3mc
total moment	0.0	μB per cell
energy relative to the elements	-14.986	kcal/mol of atoms
E	-4.158	eV per atom

(4)
LiDySn2 | PBE | optimized geometry

Lattice parameters (Å, degrees): 9.7442 9.7442 4.5644 90.00 90.00 154.30
Atoms (fractional coordinates):
Li 0.1734 0.8266 0.7500
Li 0.8266 0.1734 0.2500
Dy 0.3932 0.6068 0.7500
Dy 0.6068 0.3932 0.2500
Sn 0.0434 0.9566 0.7500
Sn 0.2470 0.7530 0.2500
Sn 0.7530 0.2470 0.7500
Sn 0.9566 0.0434 0.2500

Properties
SG	Cmcm
total moment	0.0	μB per cell
energy relative to the elements	-10.048	kcal/mol of atoms
E	-4.069	eV per atom

(5)
LiDyTl2 | PBE | optimized geometry

Lattice parameters (Å, degrees): 5.2013 5.2013 5.2013 60.00 60.00 60.00
Atoms (fractional coordinates):
Li 0.0000 0.0000 0.0000
Dy 0.5000 0.5000 0.5000
Tl 0.2500 0.2500 0.2500
Tl 0.7500 0.7500 0.7500

Properties
SG	Fm-3m
energy relative to the elements	-7.332	kcal/mol of atoms
E	-3.128	eV per atom

(6)
LiDy2Tl | PBE | optimized geometry

Lattice parameters (Å, degrees): 5.2843 5.2843 5.2843 60.00 60.00 60.00
Atoms (fractional coordinates):
Li 0.0000 0.0000 0.0000
Dy 0.2500 0.2500 0.2500
Dy 0.7500 0.7500 0.7500
Tl 0.5000 0.5000 0.5000

Properties
SG	Fm-3m
total moment	0.0	μB per cell
energy relative to the elements	-4.435	kcal/mol of atoms
E	-3.564	eV per atom


1.
This record from the Materials Project database describes a relaxed structure of MgV4O8. The functional is GGA+U.

a = 5.670 Å, b = 5.670 Å, c = 5.191 Å
α = 96.66°, β = 96.66°, γ = 61.08°
Fractional positions:
Mg 0.000 0.000 0.000
V 0.241 0.759 0.500
V 0.290 0.290 0.922
V 0.710 0.710 0.078
V 0.759 0.241 0.500
O 0.098 0.623 0.148
O 0.103 0.103 0.352
O 0.377 0.902 0.852
O 0.397 0.397 0.674
O 0.603 0.603 0.326
O 0.623 0.098 0.148
O 0.897 0.897 0.648
O 0.902 0.377 0.852

## Properties
The total magnetization comes out at 0.4615 μB per atom. For the excess energy over the best structure of this formula in the dataset, the calculation gives 12 meV per atom. The theoretical density comes out at 4.09 g/cm³.



2.
This record from the Materials Project database describes a relaxed structure of Mg30TiCrO32. The functional is GGA+U.

a = 8.515 Å, b = 8.515 Å, c = 8.596 Å
α = 90.00°, β = 90.00°, γ = 90.00°
Fractional positions:
Mg 0.000 0.000 0.000
Mg 0.000 0.250 0.248
Mg 0.000 0.250 0.752
Mg 0.000 0.500 0.000
Mg 0.000 0.500 0.500
Mg 0.000 0.750 0.248
Mg 0.000 0.750 0.752
Mg 0.249 0.249 0.500
Mg 0.249 0.751 0.500
Mg 0.250 0.000 0.248
Mg 0.250 0.000 0.752
____________

Written answer:
This record from the Materials Project database describes a relaxed structure of MgV4O8. The functional is GGA+U.
This record from the Materials Project database describes a relaxed structure of Mg30TiCrO32. The functional is GGA+U.